When you’re planning something as special as a hiking trip in New Zealand, no doubt you’ll be keen to learn more about New Zealand’s seasons and weather patterns before deciding when to book your hike. Knowing what the weather is likely to be doing before you lace up the boots is a great way to be prepared – after all, one of the reasons you want to head out hiking is probably to enjoy our beautiful outdoors!

Here at Easyhike, When is the best time for hiking in New Zealand is a question we get asked a lot. Below, we’ve put together the low-down on New Zealand’s seasons – along with some friendly local tips – to help you plan your hiking trip in New Zealand.

One of the cool things about our little country is that it’s possible to explore our national parks on foot at any time of the year. But there’s no doubt about it; different times of year definitely do bring different New Zealand hiking experiences.

Hiking in New Zealand during Spring

Keep in mind that New Zealand is in the Southern Hemisphere, so if ‘home’ for you is further north, all of our seasons are the opposite of our Northern Hemisphere friends.

Officially, Spring lasts from 1 September to the end of November – but often, Spring weather hangs around well into December. It feels like the whole of New Zealand breathes a sigh of relief when Spring hits – it’s a very uplifting, positive time of year to head outdoors; think new plant growth, longer daylight hours, baby lambs and cows in the fields and lush greenery.

Up in Auckland, average Spring temperatures sit at around 17-19°C (62 – 66 °F); but further south in Queenstown (one of the nearest cities to popular tracks like the Milford, Routeburn and Kepler) it’s a bit chillier; generally around 15°C (59°F).

Spring can bring more rain than other seasons, especially in Fiordland where the Kepler & Milford Tracks are. But as long as you’re prepared, rain can actually enhance your hike – the Milford Track comes alive during wet weather; think waterfalls plummeting down cliff tops and misty, Middle-earth like rainforests.

Spring hiking tips: Don’t let the prospect of rain put you off hiking during Spring – with good quality and lightweight waterproof gear, you may not even notice the rain (often the weather forecast isn’t accurate anyway).  The tracks are generally quieter during this time of year as well, meaning you’re likely to get long sections all to yourself!

Hiking in New Zealand during Summer

As you’d expect, summer is a pretty magical time of year here in NZ. Kiwi’s swap shoes for Jandals (a type of sandal), our pohutukawa trees blossom into bring red flowers and the days get really, really long – sometimes, darkness doesn’t hit till 10pm! A summer holiday vibe spreads throughout the country and we  (generally) start to enjoy more settled periods of dry, fine weather.

Summer ‘officially’ is from December to February (yep, we celebrate Christmas when it’s hot outside) but it’s often Jan & Feb that are the best months for ‘classic’ summer weather.

Routeburn Track, Fiordland National Park, New Zealand.

Routeburn Track, Fiordland National Park, New Zealand.

Up in Auckland, the average temperature in summertime sits at around 24°C (a balmy 75°F). Further south in Queenstown (near where we live), it’s usually around 20°C (68°F).

Do keep in mind that New Zealand holiday spots and hiking trails get pretty busy during the summer months. You’ll need to book and plan your time on the track well in advance, and be prepared to see a fair few people. That said, many hikers say that they enjoy the companionship out on NZ’s trails – there’s a lovely, friendly vibe out there.

Summer hiking tips: Don’t forget the camera – out on the Routeburn, Milford and Kepler, summer is your best chance for those clear, blue-sky days where you can see for miles! While summer is the warmest time of year, it’s not usually overly humid. Make sure to bring good sunscreen and a comfortable hat for sections of track where you’re above the bush line.

Hiking in New Zealand during Autumn

The most colourful time of year, Autumn (fall) runs between March and May. Autumn is pure magic in places like Queenstown, Wanaka and Arrowtown – think trees decked out in various hues of gold, orange and red, and beautiful blue-sky days. While Autumn is known for being a little cooler, locals also know it often means very settled weather.

It’s also not nearly as busy as the summer months, so if you like a bit of solitude then this could be the season to plan your New Zealand hike. Generally, the ocean and lakes hold their warm temperatures from summer, so if you like to cool off with a dip, Autumn still offers comfortable (albeit refreshing) swimming opportunities.

Auckland’s Autumn days sit around 21°C (68°F) while we usually get averages of 15 or 16 (59 or 61°F) down here in Queenstown.

Autumn hiking tips: This is an absolute favourite time of year to get out and explore on foot. There are usually plenty of birds around during Autumn as well – our National Parks are full of lively natives. While the temperatures are cooler, make sure you still pack the sunscreen.

Hiking in New Zealand during Winter

When you think about hiking, you might not automatically think ‘winter’ – and while the cooler months are not an especially popular time to explore on foot, the experience you’ll get on some trails is markedly different to other times of year. Do keep in mind that many of our Great Walks are ‘closed’ during the winter season, which means huts are not serviced, and many bridges get taken down in case of weather hazards.

Lake Harris, Routeburn Track, Mt Aspiring National Park, New Zealand.

Lake Harris, Routeburn Track, Mt Aspiring National Park, New Zealand.

Winter officially runs between June and August, but can sometimes run over into September, especially in mainland South Island. We’re pretty lucky that all of our native forests are evergreen – forget walking through a barren environment of sticks and twigs! And because there’s hardly anybody around during this time of year, you’ll have Mother Nature pretty much all to yourself.

Calculated molecules, as found in the file:
~~~
12
Properties=species:S:1:pos:R:3 method="wB97M-V/def2-TZVPD" total_energy_ev=-18478.4248 orbital_gap_ha=0.370 total_charge=+1 relative_energy_ev=1.915
N 0.274 -2.139 0.428
C 0.166 -0.955 -0.083
O 0.260 -0.832 -1.370
N 0.203 0.114 0.659
N 0.022 1.528 -0.353
S -0.924 2.727 0.245
H 0.347 -2.084 1.518
H 0.466 -2.939 -0.145
H 0.362 0.149 -1.563
H -0.252 0.092 1.628
H 1.075 1.590 -0.382
H -1.998 2.749 -0.583

~~~~~

# 1
A molecular structure, C39H57N5P2SSc. Source: the OMol25 dataset; level of theory: ωB97M-V with the def2-TZVPD basis set.

Cartesian coordinates (Å):
1 C -0.341 2.321 1.038
2 H 2.070 2.015 0.060
3 H -3.648 -1.005 2.654
4 S 0.337 4.587 2.173
5 C -1.066 3.400 0.431
6 H -1.311 1.497 3.263
7 C -4.116 2.223 -3.447
8 P -1.984 1.055 -1.833
9 H 0.209 -1.478 2.755
10 H -0.659 -0.421 4.453
11 H -0.824 -3.103 0.240
12 C -1.988 -0.587 -2.621
13 H 1.117 -3.441 0.720
14 H 4.530 -1.966 -0.780
15 H -3.957 -0.626 -0.332
16 H 5.367 -0.574 1.226
17 H -1.245 5.582 0.615
18 H 3.368 0.911 1.921
19 H 1.030 2.991 -3.053
20 H 1.037 1.264 -2.700
21 C 0.522 2.203 -2.493
22 C 2.611 -2.259 1.803
23 C 4.038 -2.427 2.315
24 H 4.401 -1.533 2.820
25 C 0.465 2.863 2.022
26 H -0.352 2.423 -4.990
27 H -2.291 -2.770 2.877
28 H 3.207 1.333 -1.109
29 H -3.953 2.278 0.010
30 H -3.713 3.609 -1.120
31 H -1.986 1.786 -4.846
32 H 3.545 0.271 5.455
33 H 3.757 2.530 0.063
34 H -0.025 -3.342 -2.382
35 C 4.975 0.265 0.663
36 C 2.966 0.835 4.738
37 H 2.777 -3.826 0.307
38 N 1.121 0.878 3.197
39 C 1.900 0.252 4.083
40 P 2.215 -0.797 0.698
41 H -3.948 1.527 -4.265
42 H -3.881 -0.543 -3.644
43 H -1.764 3.271 -0.381
44 H -4.329 0.731 -1.933
45 C -0.863 -2.719 -2.669
46 H -4.284 -2.071 0.613
47 H -2.143 -1.277 4.139
48 H -0.723 -3.484 2.592
49 H 5.542 1.150 0.961
50 C 3.951 -1.945 -2.829
51 C 1.410 -1.139 -1.871
52 H -3.782 -2.875 -4.381
53 H 4.910 -2.289 -3.191
54 H -2.423 -3.692 0.689
55 C -3.021 -1.140 -3.379
56 H -2.757 1.476 1.508
57 C -4.183 2.632 -0.995
58 C 3.490 0.557 0.895
59 H 4.069 -3.254 3.029
60 H 2.670 3.857 3.276
61 C -0.989 1.745 -4.419
62 C -3.746 1.647 -2.080
63 C -1.725 -2.855 0.807
64 H 4.091 2.665 4.905
65 C -1.890 -3.250 -3.428
66 H 3.088 -1.706 -4.781
67 C 3.728 -1.766 -1.479
68 H 0.907 -1.024 -3.967
69 C -0.938 2.135 -2.942
70 H -0.607 0.733 -4.562
71 C 2.924 -1.632 -3.714
72 N -0.773 -1.352 2.541
73 H -1.850 -4.289 -3.728
74 C -0.812 4.644 0.924
75 H -5.175 2.488 -3.449
76 C 1.687 -1.236 -3.249
77 C 2.123 -3.545 1.132
78 H -2.855 0.945 3.922
79 C -2.037 0.689 3.241
80 C 2.493 -1.328 -0.995
81 C -2.975 -2.461 -3.792
82 N -2.239 -1.622 0.201
83 H 5.177 0.102 -0.395
84 H -1.383 3.130 -2.817
85 H -4.612 0.182 1.820
86 N -2.511 0.552 1.853
87 C -3.609 -1.212 0.520
88 C 3.255 2.161 4.439
89 C -1.386 -2.675 2.277
90 H 4.725 -2.674 1.507
91 H 2.117 -4.363 1.855
92 C -0.880 -1.376 -2.265
93 C 3.093 1.674 -0.077
94 H 1.647 -0.782 4.308
95 H -2.220 -1.785 -0.802
96 H 0.622 2.426 -1.433
97 C 2.458 2.828 3.533
98 N 0.113 -0.860 -1.395
99 H 1.989 -2.105 2.690
~~~

For many places in the country, winter can mean snowfall – so be prepared for last-minute changes of plan if the track you had your eye on gets closed due to avalanche risk last-minute. Or, consider one of the Great Walks that aren’t affected by snowfall – the Heaphy (West Coast South Island), Abel Tasman (tip of the North Island) or Lake Waikaremoana (Mid-Eastern North Island) are all good options during winter.

Winter hiking tips: Don’t use winter as an excuse to hibernate – as long as you plan in advance and have all the right gear, you’ll have an awesome time outdoors. However, it definitely pays to choose your track carefully. The Routeburn, Milford or Kepler tracks probably aren’t good winter hiking options unless you are well-experienced and equipped with avalanche safety skills and equipment. You’ll also find winter travel in NZ a little bit cheaper, as long as you stay outside of the ski resorts.

Planning your New Zealand independent hiking adventure

So now you know all about New Zealand’s weather and seasons, you might be feeling a little more confident about booking your Great Walk down under! Don’t let the logistics of a multi-day hike put you off, especially if you’re coming from far away. Leave it to the locals – let us lend you our quality hiking gear, book your hut tickets, organize delicious food and relocate your rental car while you’re on the trail – so you can put all of your energy into your New Zealand hike. Easy!